_Activity_
Print the whole of the lines further down without additions.

_Data_
+++
[1]
The following is a DFT calculation (ωB97M-V/def2-TZVPD) of a cluster of 12 separate species, C24H48Cl24 in total.

**E_HOMO**: -10.2 eV
**Kohn-Sham gap**: 10.173 eV
**LUMO level**: -0.03 eV
**E_tot**: -326207.1612 eV
**Energy above the lowest of the compared OMol25 structures with the same formula, charge and spin**: 35.62 kcal/mol
**Structure (SMILES)**: ClCCCl.ClCCCl.ClCCCl.ClCCCl.ClCCCl.ClCCCl.ClCCCl.ClCCCl.ClCCCl.ClCCCl.ClCCCl.ClCCCl
**F_max**: 2.2 eV/Å

Geometry as ORCA input:
```
! RIJCOSX wB97M-V def2-TZVPD def2/J DEFGRID3
* xyz 0 1
H -3.20 -3.36 -3.45
Cl 3.45 4.77 -3.54
H 2.53 -0.69 -5.63
C -0.42 -0.49 0.37
Cl 2.10 2.99 2.55
H 1.77 5.17 3.18
H 6.73 -0.86 2.22
C -3.08 0.81 4.07
H -2.53 3.75 2.02
H 1.47 -0.14 -2.84
H 2.35 4.81 -1.06
H -2.65 -7.38 0.74
H 2.48 -4.03 -1.21
H -4.22 -1.04 -1.13
H -2.18 -4.91 -0.25
Cl 5.58 -0.86 -0.49
H -5.65 -0.09 -0.97
C 2.47 -0.02 -4.77
Cl -3.88 0.83 0.27
H -1.81 -5.37 -2.51
H 4.41 5.78 3.01
H -2.35 6.19 1.95
H -3.47 1.78 -4.90
Cl -1.23 5.31 0.01
H -1.39 0.02 0.39
Cl -2.30 -5.66 -4.76
C -1.45 5.60 1.74
H -1.17 -4.72 1.14
H -4.57 -1.70 1.35
C 2.61 3.43 -2.65
C 0.57 0.62 0.79
H 1.01 -3.56 -0.34
Cl 4.21 3.49 -0.39
Cl -1.49 0.35 3.33
C -2.02 -5.28 0.77
Cl -1.61 4.34 4.16
H 1.60 3.43 -3.07
H -3.83 0.96 3.30
Cl -1.36 2.13 -1.85
C -2.04 2.52 -3.45
H 6.41 0.78 2.63
C 1.42 -0.65 -3.80
Cl 2.17 0.37 0.05
C 3.93 4.83 3.25
C -4.83 -0.52 -0.39
H -0.12 -0.82 -0.63
C -3.55 -0.23 5.12
Cl -0.96 -7.30 2.41
Cl -3.38 -4.82 1.85
C 5.68 0.51 0.68
Cl 1.31 -5.86 -0.47
Cl -3.90 -1.81 4.28
Cl -2.44 -0.19 -4.07
Cl -1.64 -2.55 -2.01
H -1.77 -2.87 -4.35
H 2.70 -2.76 1.17
Cl 3.97 0.16 -3.89
H -2.92 1.77 4.56
H -0.58 6.09 2.16
H 2.57 5.08 1.60
Cl 4.14 -4.64 1.19
H -4.47 0.08 5.63
H -5.89 -2.32 0.29
C 2.56 4.68 2.61
C -1.59 -4.84 -3.44
H 2.01 -4.13 1.95
Cl 4.56 -0.63 2.87
H 4.63 4.07 2.91
H -3.88 1.62 -3.24
C -5.40 -1.43 0.69
H 0.24 1.63 0.55
Cl 3.60 4.67 4.97
C -1.63 4.21 2.41
C 2.53 -3.83 1.04
H -2.70 -0.24 5.79
H -0.52 -4.79 -3.63
C 6.01 -0.05 2.05
H 4.73 1.04 0.73
H 6.42 1.27 0.40
C -1.73 -6.80 0.87
H 0.71 0.73 1.87
H 3.14 2.52 -2.92
Cl -6.61 -0.63 1.74
Cl -0.42 -1.93 1.44
H -1.09 -7.06 0.03
H 1.90 3.15 -0.54
C 1.91 -4.18 -0.30
H -1.22 2.81 -4.11
Cl 1.88 -2.33 -3.36
H -2.54 3.47 -3.28
C 2.60 3.75 -1.12
H 2.25 1.00 -5.07
H -0.84 3.46 2.25
C -3.05 1.51 -3.93
H 0.39 -0.58 -4.15
C -2.11 -3.41 -3.46
*
```



[2]
The following is a DFT calculation (ωB97M-V/def2-TZVPD) of a cluster of 12 separate species, C35H94O34S12 in total.

**E_HOMO**: -9.3 eV
**Kohn-Sham gap**: 9.035 eV
**LUMO level**: -0.23 eV
**E_tot**: -237450.0632 eV
**Energy above the lowest of the compared OMol25 structures with the same formula, charge and spin**: 49.34 kcal/mol
**F_max**: 3.3 eV/Å

Geometry as ORCA input:
```
! RIJCOSX wB97M-V def2-TZVPD def2/J DEFGRID3
* xyz 0 1
H 1.94 -1.98 5.53
S -0.05 -3.46 3.61
H 0.38 3.69 8.46
C -4.52 2.85 4.62
O -1.49 -2.75 -5.00
H 1.63 1.34 2.39
S 0.79 -5.62 -0.76
H -0.83 7.99 -0.47
H 0.10 -2.19 -1.27
H -2.45 -5.09 0.64
H 1.06 -3.65 -3.75
H -2.23 0.31 0.33
C -0.52 0.93 -4.19
H -3.89 3.63 4.19
O 6.53 4.02 3.66
O -1.43 -3.48 3.22
C 1.37 3.95 8.03
O 0.13 -2.68 5.01
H -1.49 0.52 -4.46
H -2.76 1.60 4.80
H 2.97 1.42 1.20
O -3.79 -1.48 -0.03
O 4.77 -6.25 -4.16
S -2.74 -2.06 -5.03
O -4.81 -1.90 5.35
O 0.07 2.05 -6.14
H -4.08 3.27 -3.07
O -2.48 -1.07 5.07
O -4.52 0.49 4.89
O 1.99 0.92 4.94
H -0.39 1.01 -3.10
H -5.03 -4.11 -7.89
H -5.06 -1.14 2.64
C -5.05 -2.88 -6.09
H 0.43 -2.35 7.59
H -5.31 -1.88 -6.47
O 4.44 3.18 2.67
H 4.17 2.10 5.31
C -1.55 -4.80 0.10
H 3.16 3.63 -6.90
S 5.17 3.74 4.01
O 2.66 2.29 -3.14
C 2.52 2.81 -6.61
H -2.90 2.40 -2.00
H 0.65 -4.14 7.43
H 5.80 2.70 -1.59
H -6.65 -4.00 -7.05
H 5.55 1.49 4.28
H 0.18 0.14 -4.49
C -3.58 -2.33 -3.44
H 2.61 3.86 2.22
H -1.15 -4.02 0.76
H 2.00 4.17 8.88
O -3.64 -3.00 -6.02
H 4.57 3.97 -1.71
H -6.57 -1.62 0.26
H 1.29 -7.89 -0.21
H 2.67 -0.62 -2.76
C -1.30 0.66 0.78
H 0.42 2.94 -4.19
H 3.71 -2.17 -3.61
H 2.71 -6.73 -0.20
H 0.63 0.28 7.38
H 2.79 1.84 -7.03
S 0.64 1.37 5.20
+++

_Reply_
[1]
The following is a DFT calculation (ωB97M-V/def2-TZVPD) of a cluster of 12 separate species, C24H48Cl24 in total.

**E_HOMO**: -10.2 eV
**Kohn-Sham gap**: 10.173 eV
**LUMO level**: -0.03 eV
**E_tot**: -326207.1612 eV
**Energy above the lowest of the compared OMol25 structures with the same formula, charge and spin**: 35.62 kcal/mol
**Structure (SMILES)**: ClCCCl.ClCCCl.ClCCCl.ClCCCl.ClCCCl.ClCCCl.ClCCCl.ClCCCl.ClCCCl.ClCCCl.ClCCCl.ClCCCl
**F_max**: 2.2 eV/Å

Geometry as ORCA input:
```
! RIJCOSX wB97M-V def2-TZVPD def2/J DEFGRID3
* xyz 0 1
H -3.20 -3.36 -3.45
Cl 3.45 4.77 -3.54
H 2.53 -0.69 -5.63
C -0.42 -0.49 0.37
Cl 2.10 2.99 2.55
H 1.77 5.17 3.18
H 6.73 -0.86 2.22
C -3.08 0.81 4.07
H -2.53 3.75 2.02
H 1.47 -0.14 -2.84
H 2.35 4.81 -1.06
H -2.65 -7.38 0.74
H 2.48 -4.03 -1.21
H -4.22 -1.04 -1.13
H -2.18 -4.91 -0.25
Cl 5.58 -0.86 -0.49
H -5.65 -0.09 -0.97
C 2.47 -0.02 -4.77
Cl -3.88 0.83 0.27
H -1.81 -5.37 -2.51
H 4.41 5.78 3.01
H -2.35 6.19 1.95
H -3.47 1.78 -4.90
Cl -1.23 5.31 0.01
H -1.39 0.02 0.39
Cl -2.30 -5.66 -4.76
C -1.45 5.60 1.74
H -1.17 -4.72 1.14
H -4.57 -1.70 1.35
C 2.61 3.43 -2.65
C 0.57 0.62 0.79
H 1.01 -3.56 -0.34
Cl 4.21 3.49 -0.39
Cl -1.49 0.35 3.33
C -2.02 -5.28 0.77
Cl -1.61 4.34 4.16
H 1.60 3.43 -3.07
H -3.83 0.96 3.30
Cl -1.36 2.13 -1.85
C -2.04 2.52 -3.45
H 6.41 0.78 2.63
C 1.42 -0.65 -3.80
Cl 2.17 0.37 0.05
C 3.93 4.83 3.25
C -4.83 -0.52 -0.39
H -0.12 -0.82 -0.63
C -3.55 -0.23 5.12
Cl -0.96 -7.30 2.41
Cl -3.38 -4.82 1.85
C 5.68 0.51 0.68
Cl 1.31 -5.86 -0.47
Cl -3.90 -1.81 4.28
Cl -2.44 -0.19 -4.07
Cl -1.64 -2.55 -2.01
H -1.77 -2.87 -4.35
H 2.70 -2.76 1.17
Cl 3.97 0.16 -3.89
H -2.92 1.77 4.56
H -0.58 6.09 2.16
H 2.57 5.08 1.60
Cl 4.14 -4.64 1.19
H -4.47 0.08 5.63
H -5.89 -2.32 0.29
C 2.56 4.68 2.61
C -1.59 -4.84 -3.44
H 2.01 -4.13 1.95
Cl 4.56 -0.63 2.87
H 4.63 4.07 2.91
H -3.88 1.62 -3.24
C -5.40 -1.43 0.69
H 0.24 1.63 0.55
Cl 3.60 4.67 4.97
C -1.63 4.21 2.41
C 2.53 -3.83 1.04
H -2.70 -0.24 5.79
H -0.52 -4.79 -3.63
C 6.01 -0.05 2.05
H 4.73 1.04 0.73
H 6.42 1.27 0.40
C -1.73 -6.80 0.87
H 0.71 0.73 1.87
H 3.14 2.52 -2.92
Cl -6.61 -0.63 1.74
Cl -0.42 -1.93 1.44
H -1.09 -7.06 0.03
H 1.90 3.15 -0.54
C 1.91 -4.18 -0.30
H -1.22 2.81 -4.11
Cl 1.88 -2.33 -3.36
H -2.54 3.47 -3.28
C 2.60 3.75 -1.12
H 2.25 1.00 -5.07
H -0.84 3.46 2.25
C -3.05 1.51 -3.93
H 0.39 -0.58 -4.15
C -2.11 -3.41 -3.46
*
```



[2]
The following is a DFT calculation (ωB97M-V/def2-TZVPD) of a cluster of 12 separate species, C35H94O34S12 in total.

**E_HOMO**: -9.3 eV
**Kohn-Sham gap**: 9.035 eV
**LUMO level**: -0.23 eV
**E_tot**: -237450.0632 eV
**Energy above the lowest of the compared OMol25 structures with the same formula, charge and spin**: 49.34 kcal/mol
**F_max**: 3.3 eV/Å

Geometry as ORCA input:
```
! RIJCOSX wB97M-V def2-TZVPD def2/J DEFGRID3
* xyz 0 1
H 1.94 -1.98 5.53
S -0.05 -3.46 3.61
H 0.38 3.69 8.46
C -4.52 2.85 4.62
O -1.49 -2.75 -5.00
H 1.63 1.34 2.39
S 0.79 -5.62 -0.76
H -0.83 7.99 -0.47
H 0.10 -2.19 -1.27
H -2.45 -5.09 0.64
H 1.06 -3.65 -3.75
H -2.23 0.31 0.33
C -0.52 0.93 -4.19
H -3.89 3.63 4.19
O 6.53 4.02 3.66
O -1.43 -3.48 3.22
C 1.37 3.95 8.03
O 0.13 -2.68 5.01
H -1.49 0.52 -4.46
H -2.76 1.60 4.80
H 2.97 1.42 1.20
O -3.79 -1.48 -0.03
O 4.77 -6.25 -4.16
S -2.74 -2.06 -5.03
O -4.81 -1.90 5.35
O 0.07 2.05 -6.14
H -4.08 3.27 -3.07
O -2.48 -1.07 5.07
O -4.52 0.49 4.89
O 1.99 0.92 4.94
H -0.39 1.01 -3.10
H -5.03 -4.11 -7.89
H -5.06 -1.14 2.64
C -5.05 -2.88 -6.09
H 0.43 -2.35 7.59
H -5.31 -1.88 -6.47
O 4.44 3.18 2.67
H 4.17 2.10 5.31
C -1.55 -4.80 0.10
H 3.16 3.63 -6.90
S 5.17 3.74 4.01
O 2.66 2.29 -3.14
C 2.52 2.81 -6.61
H -2.90 2.40 -2.00
H 0.65 -4.14 7.43
H 5.80 2.70 -1.59
H -6.65 -4.00 -7.05
H 5.55 1.49 4.28
H 0.18 0.14 -4.49
C -3.58 -2.33 -3.44
H 2.61 3.86 2.22
H -1.15 -4.02 0.76
H 2.00 4.17 8.88
O -3.64 -3.00 -6.02
H 4.57 3.97 -1.71
H -6.57 -1.62 0.26
H 1.29 -7.89 -0.21
H 2.67 -0.62 -2.76
C -1.30 0.66 0.78
H 0.42 2.94 -4.19
H 3.71 -2.17 -3.61
H 2.71 -6.73 -0.20
H 0.63 0.28 7.38
H 2.79 1.84 -7.03
S 0.64 1.37 5.20